Page 1 of Bound to the Beast
His black eyes shone with a mesmerizing light from across the crowded bar. The pulse of the club music throbbed all around me as I nursed my drink, waiting for the man I knew wasn’t coming. I averted my gaze from the broad-shouldered stranger watching me with something akin to hunger. It was frightening the way his stare never faltered, as if he were waiting for the right moment to drag me into a darkened corner to rip my clothes from my body with his sharp teeth. There was something feral about the man that I couldn’t quite believe. I’d been to this club a million times and never seen anyone so dangerously hypnotic. I should’ve paid my tab and gone home when I realized the guy I’d hoped was coming had stood me up.
I tried to hide my hurt and disappointment — I should’ve known Jeremy wouldn’t come — but I couldn’t quell the sadness that bubbled from my bruised ego at being stood up again by the guy that had plainly told me I was his No. 3 girl.
I wasn’t the girl who turned heads but I wasn’t ugly either. I was, as Jeremy had put it, cute, in an ordinary way. So why the impossibly tall and wide—shouldered man seemed taken with me I hadn’t a clue but it made me edgy. It was disconcerting to be regarded with such open interest. I risked a glance his way and realized with a start he was gone.
I stuffed down the odd flash of disappointment and went to finish my drink but just as I lifted my glass I was rudely jostled by the group next to me clamoring for the bartender’s attention. I gasped as my drink splashed down my front, soaking my blouse with the remains of my gin and tonic.
“Sorry,” one guy tossed over his shoulder without really looking my way. I slid from my bar stool and muttered, “jerk” as I headed for the bathroom. My plan had been to rinse off as best as I could then head home, putting an end to the depressing night.
So much for getting dressed to impress, I thought grumpily as I grabbed a handful of paper towels and began mopping up the wetness ruining my dry-clean—only blouse. I didn’t hear the door open but I suddenly became aware that I wasn’t alone. The hair on the back of my neck prickled and I slowly turned, praying that I was simply being melodramatic. But somehow I knew before even turning that it was him standing there, blocking my exit and watching me with open hunger.
I turned and my heart jumped into my throat. “What are you doing?” I asked, my voice a high-pitched squeak as I flattened against the opposite wall. “This is the l-ladies room.”
“You smell like honey and rain,” he said, his mouth curving in a sensual line that did weird things to my ability to remain standing. I almost forgot that he was likely a weirdo or psychotic killer but I remembered quickly when he began walking toward me.
“Stop!” I cried, my voice shaking. “Or I’ll scream. Get out and leave me alone and we can just forget this ever happened and you won’t have to go to jail for being a creeper.”
“Forget? And why would I want to do that? It’s taken a century to find you…I’m not about to walk away.”
“W-what? Are you crazy?” I asked, my mouth trembling. Had he said…a century? Fabulous. I was locked in a dimly light club bathroom with a crazy person. Hadn’t my evening been crappy enough already? I looked furtively for something I could use as a weapon but aside from throwing soggy paper towel wads his way, I was screwed. This was how it ended, I thought grimly. Savaged by a nutball in a dirty bathroom. Tears pricked my eyes. “I don’t want to die,” I whispered as he strode toward me.
At my whispered plea, he simply smiled darkly and pulled me roughly to him. “Who said anything about dying, sweetling?” he murmured, crushing me against the granite of his chest. “Humans,” he chuckled with amusement even as I stiffened against him. “Such alarmists.” He didn’t give me a chance to respond as his head dipped down and suddenly his lips were moving across mine. He smelled of masculinity and raw power; sex and leather. The heady combination was enough to dampen my fear and sharpen my sudden arousal. He pressed me against the bathroom wall that was covered in profane graffiti and I gasped at the shock of his tongue searching for mine. I clung to him as he ground his hardened length against me through the rough denim of my jeans. I wiggled against the delicious pressure, quickly losing all sense of why this was a bad idea, and simply gave in to the intoxicating feel of being ravaged. Yes, ravaged was a good word for what he was doing to me. There was nothing soft or sweet about the way his hands were roaming my body as if memorizing every curve, every valley. I’d never been so consumed by another person in my life. Every boyfriend or casual sexual relationship I’d ever been in or with had always left me wanting for something deeper, more primal. He filled his hands with my breasts and when the fabric of my blouse impeded his questing touch, he growled and simply ripped it from my body. I sucked in a shocked breath but trembled at the look of possession in his stare as he openly stared at the way my boobs overfilled the lacy cups of my black bra.
“Have you whelped yet?” he asked harshly, his eyes glittering.
His question knocked me out of my lust-filled haze. “Have I…what?” I asked, blinking in confusion. “What does that mean?”
“Have you had children?” he clarified, his voice tight as if the thought bothered him.
“N-no,” I stammered, confused.
His relief was evident as he pulled me to him and covered my mouth with his once again. His tongue dueled with mine and I forgot the odd question and simply sank into his touch. His hands, large and rough, kneaded my breasts, pebbling the sensitive nipples beneath the lacy fabric. “Who are you?” I managed to gasp just as he wrenched his mouth free seconds long enough to free my breasts from the restriction of the bra. “Ohh!” My head fell back against the wall as he sucked a taut nipple into his hot mouth and I forgot why the question mattered. I was melting from his touch as he seared a trail of desire from each breast and then down my stomach. I trembled as he ripped my jeans open, his growl demanding as he jerked my pants from my hips. He nuzzled the soft flesh of my belly, seeming to relish the extra bit of padding around my middle whereas the other men in my sexual history had suggested I should hit the gym a bit more. His hot tongue stabbed into the bowl of my navel and I nearly fell to my knees. Time seemed to stop as he touched, penetrated and licked every inch of my exposed body. It didn’t seem crazy at all that my jeans were down around my ankles and a stranger was doing wicked, carnal things to me that I’d only dreamt of until this moment. The moment his tongue penetrated the slick folds of my most private spot, I sucked in a wild breath, gripping the thick hair of his head as he clutched my behind and pulled me to him. There was no escaping that grip and I was helpless to avoid the shuddering power rippling down my nerve endings, ripping past the barrier i
n my mind that this shouldn’t be happening, and forcing me to endure the endless waves of pleasure his wicked tongue wrought on my body. Before long I was crying out, mindless with the pleasure as it sizzled and snapped, clenching every muscle in a spasm so powerful it was near to pain. “Ohhh God,” I sobbed, my knees wobbling as pleasure buffeted my body with cresting waves that I never imagined possible. He rose from his knees and firmly turned me so that I faced the sink.
“Hold on,” he instructed and I gripped the porcelain with shaking fingers. I was dazed from what I’d experienced, still in a pleasure haze, when I felt his cock nudge aside my slick folds. Before I could utter a word, he slowly impaled me on his length. I was shocked by the sheer girth as he stretched me fully, buried to the hilt with his massive member. I wasn’t a virgin, but I wasn’t terribly experienced either. One thing was for sure, I’d never been penetrated by anything as large as what was inside of me that moment. And, oh God, it felt so good. I knew with a certainty that this total stranger had just ruined me for other men.
“Yesss,” he hissed, his large hips bracketing my hips as he pumped into me. A low growl followed and I shuddered, loving the primal sound of it. There was something animalistic about what he was doing to me that caused me to shake with uncontrollable lust, something I’d never imagined feeling. This was what it felt like to be ravaged. And I liked it. God, how I liked it.
It was dirty and raw; primal and nasty. He was ramming his cock into me so hard it jarred my entire body. My breasts bobbed with each thrust and suddenly, his hand buried itself in my hair, wrenching my head back. I cried out in pain and pleasure, the sudden movement causing me to writhe and beg for more. I didn’t know his name but somehow I felt as if I knew him. It was nuts — beyond nuts! — but I felt an answering call in my soul that was connected to my groin. We were joined in more ways than our bodies and it was scary yet exhilarating at the same time. I didn’t care about the how or why; I just wanted to lose myself in sensation. He fucked me within an inch of my life. I was raw and shaking, quivering with the building pleasure as it barreled down my nerve endings, taking no prisoners as another orgasmic wave slammed into me. And then he growled again right before sinking his teeth into my neck near my shoulder. I yelped but endorphins were flooding my brain, washing away the pain and replacing it with bone-melting pleasure.
It was several moments before his thrusts stopped completely and he withdrew his spent cock from my dripping channel. I stumbled away from the sink, breathing heavy as I feared I would embarrass myself and fall to the floor. Color rode his high cheekbones and the dim light created shadows on his face. He tucked his enormous cock away and his stare strayed to where he’d bit me. My cheeks flared as I remembered what he’d done and I rubbed at the sore spot.
“You will come to love the bite,” he said, reaching down to grab my ruined blouse and hand it to me. I accepted the torn shirt and struggled to make it appear as normal as possible. His eyes glittered with possession as he watched me dress. I felt exposed and vulnerable, not to mention confused about what had just happened. I mean, I knew what had happened — he’d given me the most mind-blowing orgasm of my life — but I was still not quite sure how he’d managed to do it without me screaming my head off. And what the hell did he mean, I would come to love the bite? Like this was going to happen again? As far as I knew one night stands in dingy bathrooms were not an invitation for a relationship. Besides, just because he was pretty talented in the sex department, didn’t mean I wasn’t still thinking he was crazy. And I didn’t date crazy. It was one of the few deal-breakers I still held onto. He held his hand out to me. “Come.”
“Sorry, but this was a one-time thing,” I said, trying to sound casual but my heart was hammering in my ears at the sudden darkening of his gaze. “I don’t date guys I, uh, you know, fuck in a bathroom.” Good God, just uttering those words seemed surreal. I tried to soften the blow, adding, “But it was great. I mean, really great. The best actually…I…well, I…anyway, it was great. But I should go now…”
There was a low rumbling in his chest and I shuddered when I realized the sound was eerily similar to that of a dog…or a wolf. Perhaps I’d had too much to drink after all. I tried to walk past him but his arm shot out and I was suddenly gripped in a painful vise. I cried out and tried wrenching my arm free but he pulled me toward him, his eyes shining with a pale light that frankly, defied explanation. “Who are you?” I whispered again, only this time, I wasn’t being seduced into not caring or not being afraid. “What are you?”
At that his mouth curved slightly. “My name is Vance and deep down you know what I am. I’ve searched a long time for you, Olivia Franklin,” my eyes widened at his knowledge of my name. “And I don’t plan to leave this shit hole of a club without you.”
“Why?” I was afraid to ask, but somehow, I think I knew the answer, even as nonsensical as it seemed.
“Because you’re my mate.”
“Your what?” I shook my head, unable to process or accept what he was saying to me because it was dialogue straight out of a movie that frankly, I had no interest in watching. “You’re mistaken—oh!“
He shocked me by nuzzling my neck, licking the soft skin there. I couldn’t help the answering shudder and the way my knees wobbled. “See, sweetling?” he murmured. “Your body knows what your mind will not accept.” He straightened with a knowing look. “Now come.”
My protests fell on deaf ears as he practically dragged me from the bathroom and out onto the throbbing dance floor. No one paid attention to the fact that I was struggling against him or that he’d thrown me over his shoulder when I tried to wrench my arm from his grasp. No one noticed when he tossed me into his sleek black car and drove away.
“Oh my God, are you kidnapping me?” I asked, shaking all over. “Holy shit…you are kidnapping me!”
“The rules of humans do not apply to my kind,” he answered with a shrug. “You are my mate and you will come to accept it. Until then, I must plant my seed in you as much as possible to cement the bond.”
“Plant your seed?” I repeated, incredulous. “No! I don’t want your seed, as you call it. What if I get pregnant? Oh crap. We should’ve used protection. Why was I so stupid?” I groaned, watching my life flash before my eyes. “I’m never this irresponsible. Never in my life. I’m the one that always made sure everyone had a designated driver; always the one who made sure that no one’s drinks had been tampered with; and definitely the one who always insisted on condoms…and the one time that I throw caution to the wind, I end up with a crazy person who thinks I’m his mate and wants to…what did you say? Plant your seed? Ugh!”
He glowered at my tirade but otherwise remained focused on the road. “You will come to understand.”
“Don’t bet on it,” I grumbled, shooting him a dark glare of my own. “You picked the wrong girl to pick as a mate. I’m not mate material. Just ask any one of the boyfriends who left me for someone else.”
“Anyone who would leave you for someone else is an idiot but I’m glad for now I don’t have to rip their arms from their sockets. No one touches my mate but me.”
“Caveman,” I muttered, but his statement sent a private thrill chasing my thoughts. I’d never been with anyone who was so into me that they’d go after anyone who dared look cross-eyed at me. Okay, it was so un-PC and very medieval, but also very hot. “Where are you taking me?”
He sent a smoldering look my way. “Somewhere where I can fuck you properly.”
Whatever caustic comment had been on my tongue died as I swallowed against the rise of desire his statement caused. Instantly, I felt wet and ready. I squirmed in the seat and he lifted his nose in the air and sniffed. He turned to me with a knowing smile. “Soon, sweetling. I will have you on your back with my cock buried inside your quivering pussy before long.”
I blushed at his bold words but they secretly thrilled me. Had any man ever been so wild about me? No. Most men had simply enjoyed my company while it was pleas
ant and then had moved on. It burned how easily I’d always been replaced. This man wanted me and no other. I confess, that appealed to me on every level of my being. “Why me?” I asked, unable to quell my curiosity.
“Because your soul calls to mine. Your scent is made to tease me. I can smell your arousal right now and it’s driving me to distraction.” His hands tightened on the wheel and I knew how he felt because, inexplicably, it mirrored my own feelings. “Simply…you were made for me.”
Somehow, his words rang true but I still didn’t know why. “Let’s say I believe you…how do you know this?”
“We are born with the imprint of our mate. When I caught your scent, I followed it to that bar. I watched you for weeks. It took every ounce of will power not to rip those men to shreds for daring to touch you, even if only on your shoulder. You belong to me.”
“What if I don’t want to belong to you?” His answering snarl caused me to shake. “What are you?”
He chuckled in a low silky rumble. “You’ll see.”
We arrived at a big, rambling log house deep within the forest that looked hewn from rough timber yet appeared well-made at the same time. It was pitch black outside and all around me the night sounds of the forest echoed. I shivered and hurried to catch up with Vance as he strode into the house.
It was typically masculine in a comforting way but just as I was about to remark that it could use a woman’s touch, he scooped me up and carried me from the living room. I didn’t need to ask where he was taking me. I felt his desire emanating from every fiber in his body. I clung to him, suddenly feverish to feel him inside me.
Misplaced crystal structures >
'''
No. 1
A geometry-optimized Na2Ti6Zn2Si3S9O48 structure, computed with GGA-PBE.

Cell: 8.6634 15.0411 22.4595 Å, 90.12 90.05 90.00°
Fractional coordinates of all 210 atoms:
Na: 0.0000 0.0000 0.0000
Na: 0.0020 0.0050 0.4981
Na: 0.5023 0.4992 0.9997
Na: 0.5054 0.4988 0.4980
Na: 0.5072 0.8332 0.1620
Na: 0.9977 0.3322 0.6600
Ti: 0.0007 0.6728 0.9782
Ti: 0.0023 0.3222 0.0200
Ti: 0.0047 0.0094 0.8506
Ti: 0.0129 0.0071 0.3506
Ti: 0.4912 0.5006 0.8463
Ti: 0.4945 0.5071 0.3511
Ti: 0.5001 0.8297 0.8051
Ti: 0.5028 0.8229 0.5191
Ti: 0.5065 0.1655 0.9734
Ti: 0.5085 0.1699 0.6816
Ti: 0.5095 0.5069 0.6375
Ti: 0.5099 0.1689 0.1890
Ti: 0.5129 0.1757 0.4731
Ti: 0.9949 0.6722 0.1866
Ti: 0.9959 0.0067 0.1393
Ti: 0.9962 0.3230 0.3077
Ti: 0.9964 0.6644 0.4716
Ti: 0.9989 0.6686 0.6860
Zn: 0.0020 0.9995 0.6440
Zn: 0.0072 0.3323 0.8151
Zn: 0.4962 0.8328 0.3152
Zn: 0.5009 0.4990 0.1456
Zn: 0.5115 0.8330 0.0184
Zn: 0.9882 0.3260 0.5170
Si: 0.1500 0.1437 0.2448
Si: 0.1510 0.1913 0.9116
Si: 0.3544 0.6428 0.7443
Si: 0.3543 0.6912 0.4114
Si: 0.6510 0.3141 0.5805
Si: 0.7211 0.6689 0.5796
Si: 0.7837 0.1676 0.0802
Si: 0.8542 0.8137 0.0816
Si: 0.8608 0.1879 0.4149
S: 0.1442 0.5240 0.5807
S: 0.1437 0.8112 0.5792
S: 0.1473 0.4804 0.9145
S: 0.1474 0.8570 0.2446
S: 0.2102 0.4999 0.2463
S: 0.2141 0.8339 0.9133
S: 0.2175 0.1653 0.5806
S: 0.2875 0.6656 0.0807
S: 0.2897 0.3352 0.4131
S: 0.2926 0.0003 0.7471
S: 0.3575 0.3561 0.7441
S: 0.3591 0.9792 0.4150
S: 0.3607 0.0245 0.0810
S: 0.3611 0.3113 0.0794
S: 0.6446 0.0235 0.5784
S: 0.6467 0.6458 0.2449
S: 0.6473 0.6868 0.9127
S: 0.6478 0.3583 0.2466
S: 0.6484 0.9772 0.9119
S: 0.7110 0.3357 0.9141
S: 0.7144 0.9979 0.2458
S: 0.7910 0.4986 0.7459
S: 0.7934 0.8346 0.4139
S: 0.8563 0.1460 0.7446
S: 0.8557 0.4778 0.4115
S: 0.8579 0.8571 0.7477
S: 0.8606 0.5235 0.0789
O: 0.0661 0.0951 0.1888
O: 0.0656 0.2347 0.9713
O: 0.0710 0.0893 0.9041
O: 0.0731 0.9001 0.5846
O: 0.0752 0.2417 0.2573
O: 0.0760 0.7672 0.5266
O: 0.0771 0.7650 0.2369
O: 0.0778 0.4354 0.5766
O: 0.0776 0.8935 0.2994
O: 0.0793 0.5689 0.6346
O: 0.0804 0.4473 0.8592
O: 0.0869 0.5710 0.9257
O: 0.1080 0.9109 0.9029
O: 0.1092 0.9112 0.1919
O: 0.1110 0.4241 0.2598
O: 0.1173 0.5818 0.2392
O: 0.1184 0.7520 0.9197
O: 0.1190 0.0805 0.3036
O: 0.1190 0.0854 0.5859
O: 0.1189 0.5775 0.5265
O: 0.1207 0.7577 0.6344
O: 0.1230 0.4227 0.9665
O: 0.1309 0.2486 0.5810
O: 0.1317 0.2460 0.8528
O: 0.1723 0.6565 0.7346
O: 0.1755 0.6735 0.4300
O: 0.1840 0.9841 0.4091
O: 0.1892 0.0175 0.0861
O: 0.1893 0.6539 0.0255
O: 0.1887 0.6731 0.1345
O: 0.1903 0.0141 0.8007
O: 0.1901 0.3492 0.7492
O: 0.1909 0.3216 0.0708
O: 0.1921 0.3235 0.3597
O: 0.2018 0.9791 0.6945
O: 0.2047 0.3568 0.4672
O: 0.3029 0.4811 0.1934
O: 0.3046 0.8520 0.9669
O: 0.3124 0.1537 0.5268
O: 0.3138 0.8209 0.5717
O: 0.3136 0.8208 0.8598
O: 0.3154 0.8478 0.2473
O: 0.3158 0.5162 0.2995
O: 0.3160 0.5178 0.5871
O: 0.3203 0.1703 0.6359
O: 0.3233 0.4881 0.9080
O: 0.3298 0.1730 0.9297
O: 0.3331 0.1551 0.2331
O: 0.3731 0.7457 0.3526
O: 0.3773 0.7476 0.0759
'''
“You’re shaking, sweetling,” he murmured.
“I can’t help it,” I admitted, ducking my head against his chest. “I’m a little freaked out by how I feel and what’s about to happen.”
“It is natural to be fearful of something new,” he said. “But I will protect you from anything that would harm you.”
I smiled, liking the sound of that. But I still had to wonder…why me? What was so special about me? “Are you sure I’m the right girl for you?”